RESEARCH Machine learning was uncharted territory for all team members when we first began. In order to submerge ourselves in this space, we conducted in-depth primary and secondary research before meeting up with our stakeholders at Bloomberg. This included reviewing literature and interviewing Data Scientists, ML Engineers, and Project Managers.

With a shared ML language, we then conducted various research methods to try to understand and visualize where the biggest pain points were for our stakeholders and where we could bring the most value.
Domain knowledge
We researched academic papers on machine learning experiment management to gain domain knowledge and better understand the problem space. The literature review was also used to discover existing pain points and varying perspectives.

Furthermore, we reviewed literature from adjacent problem spaces that deal with tracking multiple moving parts of a complex system, such as healthcare. This was done to help keep our perspective open and create ideas outside of common practices. The literature review also informed and reinforced our proposed pain points of the ML process.
There was one paper in particular that stood out to us. Its web-based dashboard summarized model performance in a bar chart as well as a scatterplot that displayed the relationships between hyperparameters and performance metrics.

Key Takeaways:

It is recommended to utilize different visualizations such as charts and scatterplots to compare experiment results and provide different perspectives of the data.

Hierarchy is key. Organization of a project in file format allows for efficient access of results.

Runway: machine learning model experiment management tool by Jason Tsay, Todd Mummert, Norman Bobroff, Alan Braz, Peter Westerink, Martin Hirzel

01Literature Review
We researched academic papers on machine learning experiment management to gain domain knowledge and better understand the problem space. The literature review was also used to discover existing pain points and varying perspectives.

Furthermore, we reviewed literature from adjacent problem spaces that deal with tracking multiple moving parts of a complex system, such as healthcare. This was done to help keep our perspective open and create ideas outside of common practices. The literature review also informed and reinforced our proposed pain points of the ML process.
There was one paper in particular that stood out to us. Its web-based dashboard summarized model performance in a bar chart as well as a scatterplot that displayed the relationships between hyperparameters and performance metrics.

Key Takeaways:

It is recommended to utilize different visualizations such as charts and scatterplots to compare experiment results and provide different perspectives of the data.

Hierarchy is key. Organization of a project in file format allows for efficient access of results.

Runway: machine learning model experiment management tool by Jason Tsay, Todd Mummert, Norman Bobroff, Alan Braz, Peter Westerink, Martin Hirzel

**Next to the article, the page also holds molecular data:**
____________
Record 1
# C12H34NO8S3

5 unconnected molecules or ions with the total composition C12H34NO8S3 in a non-equilibrium geometry (ωB97M-V/def2-TZVPD, OMol25).

XYZ file:
```
58
Properties=species:S:1:pos:R:3
C 0.819 0.507 4.919
C 0.184 0.914 3.427
C 1.478 1.339 2.481
C 2.083 -0.021 1.775
S 1.072 2.628 1.183
O 1.899 2.294 -0.081
O -0.438 2.419 0.773
N 1.193 4.279 1.736
S 2.835 4.873 1.712
O 3.533 4.827 0.332
O 2.747 6.401 2.100
S 4.097 4.001 3.191
H 1.550 1.358 5.327
H 1.514 -0.456 4.805
H -0.018 0.297 5.710
H -0.638 1.756 3.503
H -0.289 -0.083 2.984
H 2.305 1.727 3.221
H 1.317 -0.389 0.967
H 2.257 -0.804 2.641
H 3.141 0.286 1.315
H 5.032 3.130 2.603
C -3.083 0.668 -1.434
C -3.339 -0.246 -0.254
O -2.200 -0.274 0.594
H -2.211 0.327 -2.003
H -3.950 0.698 -2.100
H -2.864 1.686 -1.095
H -3.536 -1.266 -0.596
H -4.201 0.096 0.327
H -2.039 0.635 0.899
C 2.305 -0.523 -3.549
C 1.961 -0.347 -2.085
O 2.198 -1.557 -1.381
H 1.707 -1.327 -3.991
H 2.123 0.400 -4.107
H 3.356 -0.806 -3.669
H 0.905 -0.085 -1.969
H 2.564 0.446 -1.633
H 3.140 -1.776 -1.484
C -7.744 -0.176 2.822
C -6.712 0.420 1.887
O -5.406 0.187 2.394
H -7.655 0.262 3.822
H -8.756 -0.001 2.448
H -7.590 -1.254 2.932
H -6.855 1.501 1.797
H -6.785 -0.022 0.889
H -5.285 -0.776 2.462
C 2.914 -4.237 -5.998
C 4.267 -4.354 -5.328
O 4.268 -3.629 -4.107
H 2.672 -3.187 -6.196
H 2.898 -4.787 -6.943
H 2.124 -4.628 -5.349
H 5.050 -3.942 -5.971
H 4.510 -5.400 -5.115
H 3.575 -4.008 -3.540
```

Calculated values
largest force on an atom	7.6	eV Å⁻¹
frontier orbital gap	0.314	Ha
LUMO level	2.400	eV
net charge	-1
M	416.60	g mol⁻¹

Atomic partial charges in e from the Mulliken method, atoms 1 to 5:
1. C -0.950
2. C -0.261
3. C 0.260
4. C -0.954
5. S 0.992

Record 2
# C45H50CaFN17O3Se

A molecular structure, C45H50CaFN17O3Se (ωB97M-V/def2-TZVPD, OMol25).

XYZ file:
```
118
Properties=species:S:1:pos:R:3
Ca -0.950 -1.605 0.068
C -3.511 -4.451 4.475
C -3.415 -5.494 3.561
C -2.570 -5.392 2.471
C -1.824 -4.231 2.304
C -1.912 -3.186 3.217
C -2.755 -3.300 4.308
N -1.009 -3.998 1.170
N -0.607 -4.997 0.558
C 0.160 -4.699 -0.605
C 1.111 -5.640 -0.970
C 1.883 -5.366 -2.086
C 1.668 -4.188 -2.785
C 0.684 -3.319 -2.343
N -0.064 -3.573 -1.269
H -4.197 -4.528 5.308
H -4.027 -6.378 3.686
H -2.511 -6.176 1.729
H -1.337 -2.284 3.048
H -2.855 -2.477 5.002
H 1.223 -6.541 -0.384
H 2.647 -6.061 -2.408
H 2.252 -3.936 -3.659
H 0.492 -2.378 -2.847
N -2.687 0.853 2.613
C -1.406 1.062 2.181
N -0.809 2.263 2.104
N 0.401 2.011 1.621
N 0.499 0.736 1.450
N -0.600 0.079 1.803
C -3.453 -0.247 2.203
N -4.641 -0.486 2.727
N -5.061 -1.594 2.089
N -4.175 -1.978 1.229
N -3.119 -1.134 1.266
H -3.206 1.667 2.894
F 4.382 -1.014 4.450
C 4.198 -0.238 3.332
C 3.173 -0.562 2.476
C 2.915 0.227 1.376
C 1.669 -0.084 0.562
O 1.308 -1.336 0.560
C 1.719 0.627 -0.761
C 2.609 1.592 -0.990
N 3.523 2.061 -0.050
C 4.334 3.196 -0.361
C 4.191 4.418 0.507
C 3.642 4.413 -0.889
C 3.749 1.317 1.090
C 4.806 1.603 1.955
C 5.021 0.856 3.110
N 6.046 1.305 4.003
C 5.845 2.607 4.594
____________
**The molecular data stop here:**

02Interviews with Faculty & Model Users
We aimed to further our domain knowledge in both Machine Learning and Experiment Management software by interviewing faculty at Carnegie Mellon. We interviewed Professor Jason Hong to discuss topics on Machine Learning and Professor Majd Sakr to review an ML experiment management project occuring in the Computer Science department.

Professor Sakr provided us with tips he learned from his projects which we kept in mind during our research phase. Sakr found the experiment management process to be broad so he recommended focusing on a specific area to provide strong targeted value. He also warned that the designs we test should be tested on the users who will be using the end product. These considerations helped us orient as we progressed into research.

Some findings:

Machine learning experiments are highly complex and nuanced. Each experiment can be the replication of the previous one. Instead of trying to design for the entire workflow, it may be more beneficial to zoom in on one specific use case.

Professor Hong challenged us to answer these questions in our research:

What do different teams do?
What do they want to see differently from each other?
Who manages the cluster?
Who has the priority?
Model Users
We then interviewed Machine Learning graduate students at Carnegie Mellon. These interviews provided us with a foundation early in the process in laying out the machine learning workflow.

We noticed there was a gap between Machine Learning in academia vs. industry. There wasn’t a high demand for collaboration as students often worked in silos. Their experiment sprints were smaller in scale in terms of amount of data collected.

Students also didn’t have to worry about production of their models. While keeping these differences in mind, the model user interviews provided us with useful domain knowledge of the ML workflow process.

Some findings:

In academic ML, there is less emphasis on building stable production models and more on exploration.

Student experiments were generally on a smaller scale and would not require as many resources.

A smaller scale equates to less requirements for tracking metrics.

Academic Machine Learning workflows were similar to industry in the artifacts and tools they used for exploratory research.

03Competitive Analysis
In this section we analyzed 4 machine learning management software and provided a breakdown of the key features/capabilities offered. We have,,, and

Their features include:

Tracking (metrics, artifacts, success rates, start/end times of experiments)
Reproducibility (ensuring experiments can be reproduced based on artifacts provided)

Compare experiments (having a visual comparison what works and what doesn’t)

Collaboration amongst teams (ability to see what members of the teams are currently working on to avoid duplication of efforts)

From this, we gathered that there isn’t a tool that effectively encompasses all the capabilities. This raises two questions for our research in the space of experiment management at Bloomberg:

Are we designing into a white space or are we working on top of something pre-existing?

What are the workarounds the engineers are currently adopting?
Field Research in New York
Overview In order to answer the emerging questions, we started planning a visit to Bloomberg’s New York office and meeting our primary users in person — the Machine Learning Engineers, Data Scientists, and Product Managers.

We prepared an interview guide for two alternate research methods — contextual inquiry (building a master-apprentice relationship with our interviewee) and semi-structured interviews (directed narrative).

During the planning phase, we accounted for the spatial layout of the office environment while drafting our questions and activities. Another important aspect we considered was how much time away from work the users could take given our trip coincided with Valentine’s day and the beginning of a weekend. We realized that people might want to leave early for the day and therefore decided to carry chocolates and greeting cards to thank the participants for their generosity with time.
Sense Mapping We gathered our notes from the New York trip and color coded them across different teams on an excel sheet. Using affinity clustering, we grouped these notes across need-based user statements.

This exercise was pivotal for us in identifying the core framework for the Machine Learning workflow. The new framework helped us draft a sequence model workflow exercise for finding patterns during future research methods. We also uncovered gaps and missing information in the flow that needed further inquiry through semi-structured research in the form of a survey.

What did we learn?

01 Identified follow-up methods to better understand the machine learning workflow
02 Uncovered gaps and missing knowledge we needed to further research through semi-structured interviews
Current State Analysis
The current state of machine learning management at Bloomberg is conducted on the Data Science Platform (DSP). The DSP’s main function is to run ML experiments by connecting data and models with GPU then displaying the results in logs.

We aim to understand the advantages and the wish list for the DSP during our interviews with ML engineers. The findings will drive our design for the future state.
Identified pain points:
Lack of experiment comparison.
It is difficult for users to keep track of the experiment results on Spectro because log files disappear after 21 days since they are not currently stored anywhere.
  • Users are less inclined to use this feature knowing it will disappear after 21 days.
  • "My project might last longer than 21 days."
Experiment homepage has pages and pages of experiments. It’s hard for user to have a glanceable view of which experiment is which.
  • What were the metrics? Parameters?
  • "I want to be able to filter experiments by application type, time period, hyperparameter and accuracy."
NameSpace environment is not clear to user.
  • User spent a ton of time trying to figure out why an experiment isn’t showing up.
  • "B/c im in the wrong namespace!!!"
DSP Analysis
Machine learning was uncharted territory for all team members when we first began. In order to submerge ourselves in this space, we conducted in-depth primary and secondary research before meeting up with our stakeholders at Bloomberg. This included reviewing literature and interviewing Data Scientists, ML Engineers, and Project Managers.

With a shared ML language, we then conducted various research methods to try to understand and visualize where the biggest pain points were for our stakeholders and where we could bring the most value.
  • 01 Ineffective tracking leads to further issues in documentation and discoverability. Through affinity diagramming and workflow analysis, we’ve found that the limitations of the current tools available for tracking has negative, cascading effects on various different aspects of ML engineers’ workflow--namely documentation and discoverability.

    Much like a domino effect, tracking is the bedrock for documentation and discoverability. If tracking has issues, the problems will transfer over to other realms of ML engineers’ workflows.
  • 02 The machine learning workflow is comprised of three interdependent components, data, code, and results, which are all reliant on effective tracking. We synthesized our interviews with the Machine Learning engineers at Bloomberg, to draft a model of their machine learning workflow. The design of this model is categorized in three distinct stages - Data, Code and Result based on the three artifacts that machine learning engineers have to tackle with.
  • 03 Because of system limitations, machine learning engineers resort to developing their own workarounds to substitute workflow challenges. With a lack of set standards and support, ML engineers have resorted to developing their own workarounds, making it difficult to collaborate across teams. Yet workarounds have become so internalised at Bloomberg that they almost seem like an inherent part of the process.